_Activity_
It remains to count the lines further down that contain the word "gap_ev" and give the number alone.
_Material_
____________
(1)
{
  "formula": "C38H49N7NaO2P2Te",
  "method": "the ωB97M-V functional and the def2-TZVPD basis",
  "homo_energy_ev": -10.20,
  "gap_ev": 7.87,
  "e_tot_ev": -85010.1555,
  "total_charge": 1,
  "species": ["H", "P", "O", "H", "H", "C", "H", "H", "C", "C", "H", "H", "C", "C", "C", "H", "P", "H", "H", "C", "H", "C", "C", "H", "H", "O", "H", "N", "C", "H", "C", "N", "H", "H", "C", "H", "H", "C", "H", "C", "H", "H", "C", "H", "H", "C", "H", "H", "C", "C", "H", "H", "C", "H", "H", "C", "H", "C", "N", "H", "C", "C", "H", "C", "C", "C", "C", "C", "H", "N", "H", "N", "H", "N", "H", "C", "C", "H", "H", "H", "Na", "C", "H", "H", "H", "C", "H", "C", "C", "H", "H", "C", "C", "H", "Te", "N", "C", "H", "H", "C"],
  "positions_angstrom": [[3.76, -3.28, -4.85], [2.13, -1.68, -0.44], [3.59, 1.48, -1.34], [0.23, 3.98, -1.70], [-0.73, -5.57, -1.75], [3.89, -3.71, 0.49], [-0.48, 5.61, -1.62], [6.96, -1.39, 0.54], [-2.97, 4.76, -2.32], [3.17, 4.70, -0.46], [0.47, -0.76, 6.24], [5.58, 0.50, -0.18], [-2.75, 4.65, 1.11], [3.05, -2.62, -2.95], [-4.60, 2.05, -0.55], [2.53, -1.56, -6.11], [-1.94, 2.76, -0.74], [-5.29, 2.51, -1.27], [-2.59, 5.33, 0.28], [-2.74, -3.32, 2.48], [3.05, -4.39, 0.49], [1.11, 4.57, 1.89], [3.15, -2.56, -4.33], [-3.02, 4.68, -3.42], [0.63, -3.60, -2.25], [-0.72, 1.94, -0.80], [-2.59, -3.73, 4.52], [-1.84, 4.01, -1.83], [5.12, -4.19, 0.90], [-1.51, 2.68, 2.67], [-0.28, -5.02, -0.94], [-2.16, 3.36, 0.80], [4.10, 4.33, -0.89], [-1.05, -6.31, 0.58], [-2.54, -0.51, 4.04], [-3.41, -0.45, 3.40], [1.66, 5.46, 2.19], [-1.62, -1.46, -1.09], [0.98, 0.01, -2.44], [1.59, -0.71, -2.98], [-3.82, 4.59, 1.33], [-1.24, -1.01, -2.00], [-0.40, -0.68, 5.61], [-2.89, 5.81, -2.06], [3.57, -3.39, -2.40], [0.12, -4.71, 1.40], [1.14, 0.09, -4.92], [0.26, 4.85, 1.27], [2.46, -1.59, -5.04], [-2.20, 2.39, 1.88], [-4.53, 2.69, 0.32], [-3.90, 1.80, -3.14], [-1.45, -1.61, 1.17], [5.21, -5.23, 1.19], [2.96, 1.45, -2.08], [0.49, -3.90, -1.23], [-2.25, 5.07, 1.99], [3.73, -2.39, 0.08], [-0.96, 0.51, 5.49], [-1.91, 1.42, 1.49], [-2.44, -2.60, 1.25], [6.23, -3.36, 0.93], [-2.28, 1.18, -2.79], [-3.04, -3.00, 0.05], [4.76, -0.19, -0.34], [1.09, -3.18, -0.20], [-2.63, -2.42, -1.13], [2.27, -1.69, -2.26], [1.32, -3.01, 1.93], [-1.06, -1.06, 0.03], [-0.41, 4.76, -3.17], [3.69, 0.15, -0.94], [-5.02, 1.09, -0.25], [-0.83, -1.80, 5.06], [-3.20, 2.30, 2.31], [-3.30, 1.23, -2.43], [-2.42, -2.99, 3.74], [3.39, 5.59, 0.12], [-3.71, 0.22, -2.36], [-2.51, 1.55, 4.67], [0.57, 0.74, 0.03], [4.87, -1.56, 0.11], [7.19, -3.75, 1.24], [-0.02, -5.02, 2.43], [0.74, 4.07, 2.78], [-0.56, 4.63, -2.09], [-3.89, 4.36, -1.90], [6.10, -2.05, 0.54], [-1.89, -1.73, 4.26], [-3.05, -2.73, -2.08], [-3.21, -4.28, 2.32], [-0.46, -5.43, 0.37], [0.87, -3.58, 1.12], [2.49, 4.95, -1.26], [2.40, 3.19, 0.86], [-3.29, 1.85, -1.12], [-2.03, 0.58, 4.72], [-3.80, -3.76, 0.06], [-0.93, -1.29, 2.05], [1.67, -0.67, -4.36]],
  "lowdin_charge": [0.11, 1.11, -0.13, 0.05, 0.11, -0.07, 0.09, 0.12, -0.10, -0.41, 0.11, 0.15, -0.09, -0.07, -0.10, 0.11, 0.55, 0.09, 0.07, -0.04, 0.10, -0.44, -0.06, 0.09, 0.10, -0.36, 0.12, -0.30, -0.06, 0.08, -0.08, -0.30, -0.01, 0.11, -0.01, 0.12, 0.00, -0.15, 0.09, -0.12, 0.09, 0.10, -0.20, 0.09, 0.11, -0.09, 0.11, -0.02, -0.07, -0.11, 0.06, 0.09, -0.09, 0.11, 0.09, -0.08, 0.09, -0.27, 0.09, 0.07, -0.19, -0.06, 0.08, 0.00, -0.08, -0.39, -0.04, -0.37, 0.12, 0.05, 0.09, -0.09, 0.09, 0.14, 0.09, -0.11, -0.02, 0.00, 0.08, 0.10, 0.11, -0.21, 0.11, 0.11, -0.01, -0.10, 0.07, -0.02, -0.30, 0.12, 0.12, -0.08, -0.14, -0.01, 1.24, -0.29, -0.14, 0.12, 0.12, -0.07]
}

=====

(2)
{
  "formula": "C38H50AsKN2O3Si3",
  "method": "the ωB97M-V functional and the def2-TZVPD basis",
  "homo_energy_ev": -1.00,
  "gap_ev": 5.17,
  "e_tot_ev": -150139.6620,
  "total_charge": -2,
____________
_Solution_
2